The way we live has dramatically altered over the past few years.
As a result, we now need our homes to work better than ever before. Clunky floor plans, tired bathrooms and cluttered kitchens are being overhauled in record numbers, and the biggest “design trend” to emerge this year is for homes to operate at optimal capacity.
“Where we were once complacent with the way our home looked or functioned, it’s now so irritating that we need it fixed and updated,” says Melbourne interior decorator Lauren Egan. “The only catch is finding a tradie without a two or three-project wait time!”
Australians want functionality and sanctuary at home, says designer Greg Natale.
“The home as a sanctuary is still essential, with a separation between spaces to work and spaces to relax. We’ve realised how important our own comfort and wellbeing are within that environment.”
It’s a sentiment that is driving the rising popularity of smart home technology as home owners streamline the demands of modern life, says Clipsal by Schneider Electric product manager, Tim Fant.
“When juggling busy work and home lives, every moment counts,” he says. “By automating daily tasks and routines, Australians are realising a smart home can help to optimise and free up precious time, meaning you can spend more time enjoying life with family and friends.”
So, what will the best Australian homes look like in 2022? Domain asked the experts to share their insights.
The working home
You would be hard-pressed to find a new build or renovation in 2022 that didn’t include an office or home study space, the experts agree.
“Incorporating designated working spaces within the family home has been the most common request from clients over the past 18 months,” says Sydney interior designer Karen Muller.
“The juggle for families, between homeschooling and the need to conduct business at home, has seen a trend towards flexible floor plans, and moveable walls where one can either segregate or open up a floor plan.”
The well-equipped home
Alla Delion, principal designer and director at Studiomint in Melbourne, says many of her clients embraced the role of home chef during lockdown and are “spending enormous amounts of money” on new appliances and kitchen upgrades to support the hobby.
“They include things like teppanyaki grills, steam ovens and professional coffee machines so sophisticated you’d need to grow a beard just to operate them,” she jokes.
Greg Natale has also noticed a shift towards practical luxury as his clients invest in high-end pantries and laundries, with one spending $25,000 on a specialty dry-cleaning cupboard.
The smart home
With a desire to streamline their busy lives, home owners are going one step further in the bid for autonomy, turning to technology for “touch-of-a button” comfort, entertainment and security.
What comes next are crystal structures, not part of the article:
This entry pairs a crystal structure of Na3MgC2ClO6 with its simulated powder diffractogram. Radiation: a wavelength of 1.5418 Å. Structure: the PBE geometry in the Materials Project.
No peak broadening, texture or thermal motion is included.

Structure:
Unit cell a=10.118 b=10.118 c=10.118 alpha=60.00 beta=60.00 gamma=60.00
Sites, in units of the cell vectors:
Na: 0.110 0.110 0.640
Na: 0.110 0.640 0.110
Na: 0.110 0.640 0.640
Na: 0.360 0.360 0.890
Na: 0.360 0.890 0.360
Na: 0.360 0.890 0.890
Na: 0.640 0.110 0.110
Na: 0.640 0.110 0.640
Na: 0.640 0.640 0.110
Na: 0.890 0.360 0.360
Na: 0.890 0.360 0.890
Na: 0.890 0.890 0.360
Mg: 0.000 0.500 0.500
Mg: 0.500 0.000 0.500
Mg: 0.500 0.500 0.000
Mg: 0.500 0.500 0.500
C: 0.282 0.282 0.282
C: 0.282 0.282 0.653
C: 0.282 0.653 0.282
C: 0.347 0.718 0.718
C: 0.653 0.282 0.282
C: 0.718 0.347 0.718
C: 0.718 0.718 0.347
C: 0.718 0.718 0.718
Cl: 0.000 0.000 0.000
Cl: 0.000 0.000 0.500
Cl: 0.000 0.500 0.000
Cl: 0.500 0.000 0.000
O: 0.134 0.356 0.356
O: 0.134 0.356 0.655
O: 0.134 0.655 0.356
O: 0.345 0.644 0.644
O: 0.345 0.644 0.866
O: 0.345 0.866 0.644
O: 0.356 0.134 0.356
O: 0.356 0.134 0.655
O: 0.356 0.356 0.134
O: 0.356 0.356 0.655
O: 0.356 0.655 0.134
O: 0.356 0.655 0.356
O: 0.644 0.345 0.644
O: 0.644 0.345 0.866
O: 0.644 0.644 0.345
O: 0.644 0.644 0.866
O: 0.644 0.866 0.345
O: 0.644 0.866 0.644
O: 0.655 0.134 0.356
O: 0.655 0.356 0.134
O: 0.655 0.356 0.356
O: 0.866 0.345 0.644
O: 0.866 0.644 0.345
O: 0.866 0.644 0.644

Largest 10 diffraction maxima, most intense first, 2θ = 5–70°:
two_theta, I/Imax
35.49, 1000
10.71, 716
32.52, 652
51.07, 492
41.88, 341
56.03, 289
17.53, 264
24.89, 212
63.73, 196
27.17, 190

This entry pairs a crystal structure of Zn2Hg2Se2O9 with its simulated powder diffractogram. Radiation: a wavelength of 1.5418 Å. Structure: the PBE geometry in the Materials Project.
No peak broadening, texture or thermal motion is included.

Structure:
Unit cell a=9.086 b=9.086 c=4.944 alpha=93.30 beta=93.30 gamma=41.35
Sites, in units of the cell vectors:
Zn: 0.248 0.752 0.000
Zn: 0.752 0.248 0.000
Hg: 0.672 0.672 0.969
Hg: 0.823 0.823 0.041
Se: 0.111 0.111 0.480
Se: 0.383 0.383 0.536
O: 0.045 0.045 0.723
O: 0.184 0.615 0.728
O: 0.202 0.202 0.622
O: 0.312 0.880 0.286
O: 0.440 0.440 0.265
O: 0.548 0.548 0.863
O: 0.615 0.184 0.728
O: 0.880 0.312 0.286
O: 0.947 0.947 0.130

Largest 10 diffraction maxima, most intense first, 2θ = 5–70°:
two_theta, I/Imax
23.09, 1000
23.59, 556
14.76, 446
17.98, 411
34.65, 320
29.78, 300
39.75, 285
37.62, 266
20.94, 234
46.45, 217

This entry pairs a crystal structure of BiSbTe2 with its simulated powder diffractogram. Radiation: a wavelength of 1.5418 Å. Structure: the PBE geometry in the Materials Project.
No peak broadening, texture or thermal motion is included.

Structure:
Unit cell a=4.377 b=4.377 c=25.180 alpha=90.00 beta=90.00 gamma=120.00
Sites, in units of the cell vectors:
Bi: 0.000 0.000 0.000
Bi: 0.000 0.000 0.253
Bi: 0.333 0.667 0.595
Sb: 0.000 0.000 0.418
“Smart homes allow comfort, convenience, control and efficiency to co-exist,” says Tim Fant, who points to the Clipsal Wiser™ Smart Home as a great place to start.
The scalable system allows you to control almost every element of your home through an app, growing as the needs of your household expand.
“Imagine being able to dim the lights in the kids’ bedroom at bedtime as you finish the dinner dishes or have the lights and heating kick-in automatically as you arrive home from work,” Fant enthuses. “These are just two of a myriad of possibilities.”
According to Fant, the “all-off” command is most popular, turning household lights and appliances off via a single wall switch, tap of an app or voice activation. Residents can also use the system to keep an eye on their homes from anywhere in the world via the app, changing the lighting for security, checking appliances are turned off, or opening the garage door.
An added bonus of upgrading our homes’ technology is becoming more energy-efficient, says Fant, as products like Clipsal Wiser can switch off appliances and lights when not in use and automatically lower blinds to stave off summer heat.
The eco home
With our impact on the natural world front of mind, Karen Muller says it’s great to see many within the design world and associated industries working to become more environmentally accountable. Muller lists paint manufacturers ditching chemicals and rugs made using recycled plastics among the shifting tide.
“I love the fact that these companies are working towards a brighter future,” she says. “I believe we will continue to see more of these recycled and repurposed products becoming popular with home decorators in the coming years.”
The peaceful home
As a load is taken off through technology and innovation, Australians also want their homes to serve as a place of relaxation and sanctuary from the outside world.
Lauren Egan says extended periods at home have inspired a “tonal shift” away from grey and cooler whites, with warmer, earthy colours – creams, neutral browns and tans – helping home renovators create calming spaces.
Bringing the outside world in, natural tiles and surfaces that have a more organic feel, with rustic or irregular edges and earthy tones, are gaining momentum. And, while light oak remains popular, “richer timbers like walnut and blackbutt are coming into their own,” Egan says.